• Material:
The following is a calculated X-ray diffraction stick pattern of Ni5Pd3O12. It was derived from a crystal structure in Alexandria, relaxed with GGA+U, using Cu Ka.
Neutral-atom scattering factors, no anomalous dispersion.

Principal peaks in the range 2θ = 10–80°, low angle first:
| (hkl) | two_theta | intensity |
| --- | --- | --- |
| 1 1 0 | 19.8 | 41 |
| 2 1 0 | 30.4 | 11 |
| 3 0 0 | 34.6 | 96 |
| 1 1 1 | 35.9 | 100 |
| 2 1 1 | 43.0 | 13 |
| 2 2 1 | 50.7 | 57 |
| 0 0 2 | 61.6 | 12 |
| 3 3 0 | 62.0 | 19 |
| 4 1 1 | 62.8 | 42 |
| 3 0 2 | 72.6 | 21 |

Structural model:
Lattice parameters (Å, degrees): 8.9870 8.9870 3.0133 90.00 90.00 120.00
Space group P-62m (No. 189)
Inequivalent atoms, fractional coordinates:
Ni 0.0000 0.3332 0.0000 x3
Ni 0.3333 0.6667 0.0000 x2
Pd 0.0000 0.6896 0.5000 x3
O 0.0000 0.5487 0.0000 x3
O 0.0000 0.8331 0.0000 x3
O 0.1893 0.4492 0.5000 x6

=====

Structure and simulated X-ray powder pattern of CaNdV4O12 (DFT lattice parameters and positions (GGA+U); CuKα).

Peak list (10 most intense, 10 to 90 degrees two-theta, in order of rising 2θ)
hkl 1 0 0, 12.54°, rel. 208; hkl 0 1 1, 15.53°, rel. 239; hkl 1 1 1, 20.01°, rel. 1000; hkl 0 2 2, 31.36°, rel. 514; hkl 2 0 2, 32.00°, rel. 528; hkl 1 1 3, 34.25°, rel. 218; hkl 2 2 0, 35.42°, rel. 333; hkl 0 0 4, 39.29°, rel. 213; hkl 2 2 4, 53.92°, rel. 238; hkl 2 4 2, 60.68°, rel. 182

Structure:
abc: 7.058 7.285 9.172
angles: 90.00 90.00 90.00
Space group Amm2 (No. 38)
One atom of each set of equivalent atoms:
Ca 0.000 0.000 0.000 x2
Nd 0.500 0.000 0.504 x2
V 0.250 0.245 0.253 x8
O 0.000 0.207 0.807 x4
O 0.224 0.000 0.325 x4
O 0.253 0.205 0.071 x8
O 0.294 0.000 0.737 x4
O 0.500 0.226 0.325 x4

=====

For TbPr2Te2As2, a cell relaxed with GGA-PBE gives the calculated powder diffractogram in this record (Cu Kα (weighted mean of Kα1 and Kα2)).
Peak positions follow from Bragg's law for the DFT cell and can differ from measured ones.

Largest 8 diffraction maxima, sorted by position, 2θ from 10° to 90°:
h k l, 2theta, d_spacing, intensity
0 0 2, 11.14, 7.945, 19
1 1 0, 23.51, 3.784, 68
1 0 5, 32.76, 2.733, 100
2 0 0, 33.49, 2.675, 69
2 1 5, 47.57, 1.912, 62
2 2 0, 48.10, 1.892, 25
3 0 5, 59.41, 1.556, 20
3 2 5, 69.96, 1.345, 19

Crystal structure
a = 5.3509 Å, b = 5.3509 Å, c = 15.8907 Å
α = 90.00°, β = 90.00°, γ = 90.00°
Positions (direct):
Tb 0.0000 0.0000 0.0000
Tb 0.5000 0.5000 0.5000
Pr 0.0000 0.0000 0.3862
Pr 0.0000 0.0000 0.6138
Pr 0.5000 0.5000 0.1138
Pr 0.5000 0.5000 0.8862
Te 0.0000 0.0000 0.1913
Te 0.0000 0.0000 0.8087
Te 0.5000 0.5000 0.3087
Te 0.5000 0.5000 0.6913
As 0.0000 0.5000 0.0000
As 0.0000 0.5000 0.5000
As 0.5000 0.0000 0.0000
As 0.5000 0.0000 0.5000

=====

[1]
Simulated powder diffractogram of KUPO7F for Cu Kα, from a cell relaxed with GGA-PBE.
Kinematic intensities with the Lorentz-polarization factor, no thermal factor.

Crystal structure
Unit cell a=6.8966 b=8.6952 c=13.8846 alpha=90.00 beta=116.34 gamma=90.00
Fractional coordinates of all 44 atoms:
K 0.1834 0.1968 0.0492
K 0.1834 0.3032 0.5492
K 0.8166 0.6968 0.4508
K 0.8166 0.8032 0.9508
U 0.0991 0.5304 0.2460
U 0.0991 0.9696 0.7460
U 0.9009 0.0304 0.2540
U 0.9009 0.4696 0.7540
P 0.3857 0.6266 0.7357
P 0.3857 0.8734 0.2357
P 0.6143 0.1266 0.7643
P 0.6143 0.3734 0.2643
O 0.0354 0.0800 0.3957
O 0.0354 0.4200 0.8957
O 0.2209 0.0219 0.8873
O 0.2209 0.4781 0.3873
O 0.2553 0.5013 0.7622
O 0.2553 0.9987 0.2622
O 0.2690 0.6207 0.6105
O 0.2690 0.8793 0.1105
O 0.3659 0.7161 0.2813
O 0.3659 0.7839 0.7813
O 0.3733 0.0852 0.7165
O 0.3733 0.4148 0.2165
O 0.4522 0.6786 0.0366
O 0.4522 0.8214 0.5366
O 0.5478 0.1786 0.4634
O 0.5478 0.3214 0.9634
O 0.6267 0.5852 0.7835
O 0.6267 0.9148 0.2835
O 0.6341 0.2161 0.2187
O 0.6341 0.2839 0.7187
O 0.7310 0.1207 0.8895
O 0.7310 0.3793 0.3895
O 0.7447 0.0013 0.7378
O 0.7447 0.4987 0.2378
O 0.7791 0.5219 0.6127
O 0.7791 0.9781 0.1127
O 0.9646 0.5800 0.1043
O 0.9646 0.9200 0.6043
F 0.0111 0.2312 0.7087
F 0.0111 0.2688 0.2087
F 0.9889 0.7312 0.7913
F 0.9889 0.7688 0.2913

• What to do:
Now echo the lines further up from the one with "Structure:" to the one with "0.0991 0.9696" without additions.

• Completed:
Structure:
abc: 7.058 7.285 9.172
angles: 90.00 90.00 90.00
Space group Amm2 (No. 38)
One atom of each set of equivalent atoms:
Ca 0.000 0.000 0.000 x2
Nd 0.500 0.000 0.504 x2
V 0.250 0.245 0.253 x8
O 0.000 0.207 0.807 x4
O 0.224 0.000 0.325 x4
O 0.253 0.205 0.071 x8
O 0.294 0.000 0.737 x4
O 0.500 0.226 0.325 x4

=====

For TbPr2Te2As2, a cell relaxed with GGA-PBE gives the calculated powder diffractogram in this record (Cu Kα (weighted mean of Kα1 and Kα2)).
Peak positions follow from Bragg's law for the DFT cell and can differ from measured ones.

Largest 8 diffraction maxima, sorted by position, 2θ from 10° to 90°:
h k l, 2theta, d_spacing, intensity
0 0 2, 11.14, 7.945, 19
1 1 0, 23.51, 3.784, 68
1 0 5, 32.76, 2.733, 100
2 0 0, 33.49, 2.675, 69
2 1 5, 47.57, 1.912, 62
2 2 0, 48.10, 1.892, 25
3 0 5, 59.41, 1.556, 20
3 2 5, 69.96, 1.345, 19

Crystal structure
a = 5.3509 Å, b = 5.3509 Å, c = 15.8907 Å
α = 90.00°, β = 90.00°, γ = 90.00°
Positions (direct):
Tb 0.0000 0.0000 0.0000
Tb 0.5000 0.5000 0.5000
Pr 0.0000 0.0000 0.3862
Pr 0.0000 0.0000 0.6138
Pr 0.5000 0.5000 0.1138
Pr 0.5000 0.5000 0.8862
Te 0.0000 0.0000 0.1913
Te 0.0000 0.0000 0.8087
Te 0.5000 0.5000 0.3087
Te 0.5000 0.5000 0.6913
As 0.0000 0.5000 0.0000
As 0.0000 0.5000 0.5000
As 0.5000 0.0000 0.0000
As 0.5000 0.0000 0.5000

=====

[1]
Simulated powder diffractogram of KUPO7F for Cu Kα, from a cell relaxed with GGA-PBE.
Kinematic intensities with the Lorentz-polarization factor, no thermal factor.

Crystal structure
Unit cell a=6.8966 b=8.6952 c=13.8846 alpha=90.00 beta=116.34 gamma=90.00
Fractional coordinates of all 44 atoms:
K 0.1834 0.1968 0.0492
K 0.1834 0.3032 0.5492
K 0.8166 0.6968 0.4508
K 0.8166 0.8032 0.9508
U 0.0991 0.5304 0.2460
U 0.0991 0.9696 0.7460